What’s On My Table

I was never really one for writing in any form. My school papers were always slapped together last minute and probably made little to no sense. So this will definitely be a new experience, but one I think will fill the need I have to share more about my day to day life of becoming a stay at home mom/chef. The transition from the working world to staying home full time has had so many highs but there are lows that you don’t believe are true until you actually experience them. Losing my identity as a working woman in society has been challenging but might be the real push I needed to build something so much more.

I started sharing my food through Instagram back in 2014. At the time I was fresh out of culinary school and working for a corporate catering company hosting events at a local museum. Long 12-16 hour days were spent cranking out exciting food at events ranging from 25-500 people. Many nights I would come home, use an idea or technique that I had learned at work and try it out on my boyfriend and roommates, capturing the finished product and sharing on IG. My time was not my own and that was okay because when jumping into the culinary world that's to be expected. The nights, weekends, and holidays are long and can be grueling but the rush and food make it all worth it. After a while I ended up slowing down (not by much) and taking a role outside of the kitchen. I was part of a management team that managed 100+ employees working front of the house of a campus dining room. Talk about shell shock! But still it was a way to round out my resume and a chance to gain a little bit of my life back. Though I wanted to still be creative I knew somewhere down the line I eventually wanted to start a family. Something I knew would be doable but hard if I continued full time catering. Since I was no longer cooking I really ramped up my creative cooking at home. No meal could be touched until I took the perfect picture to post and share. Eventually I needed more from what I was doing, which is when I found myself back in the kitchen. I would never have imagined ending up in the K-12 dining world but that is exactly what happened. I was back in the kitchen, somewhat, but not in the most creative setting. But let me tell you the work-life balance was out of this world. Not to mention the team of women I found myself working with made the transition a dream job. However it wasn’t long after starting, that my husband and I decided to have a baby. Never in a million years did I think I would have the option to be a SAHM but after some long discussions and financial planning we figured out how to make it work. So in August of 2019, just 2 months after Logan was born I stepped down and made the move.  A dream come true for sure, being able to be there for every single minute of my son growing up is amazing. But I struggled with who I am now? I was so used to grinding every day and contributing financially. That once that stopped I felt, almost lazy. I was doing the same thing everyday and as hard as it was it felt like at the same time I did nothing all day. Now when I take a step back I obviously know this is not true. I not only grew an entire little human and pushed him out after 12 hours of labor, but also feed him and my husband, take care of all the household items, chase the now little 14mo old human around the house, and probably 10 other things I am forgetting…. And that was before we realized I was growing ANOTHER entire little human. As much as I love being home full time I still didn’t want to lose my culinary identity, which is what brings me here. 

So here is what I am hoping you can expect:

  • Sharing my “recipes”, loose term of course since I rarely measure anything or make something the same way twice.

  • My weekly meal plan, also loose since by the time Thursday rolls around “screw it lets get pizza” often happens.

  • Baby/toddler meals which is an entirely new world so we will have to learn together.

  • My grocery hauls, which during this pandemic have been hard to handle, but we’ll talk about that later.

  • And whatever else POPS up along the way. **HINT HINT**

So whether you end up reading my rambling posts or just scroll down to the recipe you need I hope enjoy What’s On The Table!

-- Here the text breaks off for data records --
# 1
MgV2CdO6 | PBE+U | optimized geometry

Cell: 3.9647 5.8577 6.7636 Å, 101.40 90.01 109.80°
Atoms (fractional coordinates):
Mg  0.4193  0.8386  0.2157
O  0.3779  0.7555  0.9007
O  0.8899  0.7797  0.2233
V  0.7491  0.4982  0.3369
V  0.2480  0.4961  0.6704
O  0.1005  0.2014  0.7072
Cd  0.9751  0.9497  0.9125
O  0.5993  0.1989  0.1926
O  0.7729  0.5458  0.6261
O  0.2787  0.5575  0.3904

Properties
Energy of formation from the pure elements = -23.48 eV/f.u.
E_tot = -6.633 eV/atom
Mass density = 3.85 g/cm3
Total magnetic moment = 2.00 μB per cell

# 2
La4MnSe6O | PBE+U | optimized geometry

Cell: 7.1366 9.8365 9.8365 Å, 120.00 90.00 90.00°
Atoms (fractional coordinates):
Se  0.4449  0.5302  0.0603
La  0.2072  0.3333  0.6667
La  0.1606  0.7998  0.5995
La  0.6606  0.5995  0.7998
O  0.0438  0.6667  0.3333
Mn  0.4945  0.0000  0.0000
La  0.7072  0.6667  0.3333
Mn  0.9944  0.0000  0.0000
Se  0.9449  0.0603  0.5302
Se  0.2630  0.1261  0.8739
Se  0.4449  0.5302  0.4698
Se  0.9449  0.4698  0.5302
Se  0.2630  0.7477  0.8739
Se  0.4449  0.9397  0.4698
Se  0.7630  0.8739  0.7477
La  0.1606  0.4005  0.2002
O  0.5438  0.3333  0.6667
Se  0.2630  0.1261  0.2523
La  0.6606  0.2002  0.7998
Se  0.9449  0.4698  0.9397
La  0.1606  0.7998  0.2002
La  0.6606  0.2002  0.4005
Se  0.7630  0.2523  0.1261
Se  0.7630  0.8739  0.1261

Properties
Energy of formation from the pure elements = -25.11 eV/f.u.
E_tot = -6.465 eV/atom
Piezoelectric modulus e_max = 0.4 C/m2
Mass density = 6.11 g/cm3
Total magnetic moment = 0.00 μB per cell

Copy entry 1 word for word.
MgV2CdO6 | PBE+U | optimized geometry

Cell: 3.9647 5.8577 6.7636 Å, 101.40 90.01 109.80°
Atoms (fractional coordinates):
Mg  0.4193  0.8386  0.2157
O  0.3779  0.7555  0.9007
O  0.8899  0.7797  0.2233
V  0.7491  0.4982  0.3369
V  0.2480  0.4961  0.6704
O  0.1005  0.2014  0.7072
Cd  0.9751  0.9497  0.9125
O  0.5993  0.1989  0.1926
O  0.7729  0.5458  0.6261
O  0.2787  0.5575  0.3904

Properties
Energy of formation from the pure elements = -23.48 eV/f.u.
E_tot = -6.633 eV/atom
Mass density = 3.85 g/cm3
Total magnetic moment = 2.00 μB per cell

What is the total magnetic moment in the second record?
0.00 μB per cell

* * * * *

DFT (PBE) results for a relaxed ZnP2H14C2N6O6 crystal.

Unit cell a=10.500 b=9.299 c=9.714 alpha=67.01 beta=54.61 gamma=58.39
Positions (direct):
Zn 0.000 0.000 0.000
Zn 0.250 0.250 0.250
P 0.031 0.127 0.632
P 0.040 0.618 0.123
P 0.127 0.031 0.210
P 0.618 0.040 0.219
H 0.017 0.728 0.819
H 0.025 0.819 0.619
H 0.030 0.451 0.922
H 0.043 0.674 0.464
H 0.048 0.333 0.801
H 0.054 0.462 0.536
H 0.169 0.975 0.561
H 0.302 0.714 0.788
H 0.328 0.653 0.220
H 0.333 0.048 0.817
H 0.431 0.786 0.576
H 0.431 0.814 0.233
H 0.433 0.449 0.917
H 0.449 0.433 0.202
H 0.451 0.030 0.597
H 0.462 0.054 0.948
H 0.631 0.713 0.225
H 0.653 0.328 0.799
H 0.674 0.043 0.819
H 0.689 0.956 0.081
H 0.713 0.631 0.431
H 0.714 0.302 0.196
H 0.728 0.017 0.436
H 0.786 0.431 0.207
H 0.814 0.431 0.522
H 0.819 0.025 0.537
H 0.956 0.689 0.275


Sundays Are For The Lasagna


Oh Hot Jam!